Posts from January 2007

  • If you do any ColdFusion development (shut up!), you should check out this CF Textmate add-on. With this + Transmit, I prefer TextMate to HomeSite now for writing CF.
    filed under: programming, software
  • hooray! Click this link to set a cookie (with cookie technology) to disable those annoying Snap site previews that are popping up everywhere. [thanks torrez]
    filed under: marketing, internet

The Consumer Trap Redux

I extended my review of The Consumer Trap from a week or so ago for J.D.'s excellent personal finance site, Get Rich Slowly. You can read the longer version here: Book Review: The Consumer Trap.

Book: Poetics

Poetics I recently read the Penguin Classics version of Aristotle's Poetics, and holy crap, why didn't anyone force me to sit down and read this sooner? In college I minored in Film Studies and English, and I thought I had a good introduction to deconstructing texts through those years of classes. Little did I know I've been missing a core way to think about stories.

A great book about giving presentations is Beyond Bullet Points by Cliff Atkinson. (I've mentioned it here before: Public Speaking.) Atkinson has a very useful system for telling a story via Powerpoint that's based on some of Aristotle's ideas in Poetics. He mentions that a couple times in BBB. I've put together a few presentations using the advice in the book, and the ideas were very helpful. So I figured ad fontes (I often think in Latin, heh), and picked up Poetics. I also recently read Eco's Name of the Rose, which tangentially featured Aristotle.

I know next to nothing about Artistotle beyond the fact that his books are sort of teaching notes on various subjects, and only a few survive today. I'm also vaguely aware that Aristotle and Plato had two different ways of viewing the world that continue to split our collective psyche to this day. (Something about Plato's love of ideal forms vs. Aristotle's favored observation of the real world.) I guess this basic understanding kept me from reading Aristotle. Why would I want to read some half-finished ideas? I figured the ideas were probably so remote, abstract, and ancient that they wouldn't have much relevance to me. So I had low expectations going in. I figured I wouldn't even be able to understand it.

I read the introduction to Poetics by Malcolm Heath, and I got quite a bit out of it. Of course it's very dry and academic, but it did help explain some sort of consensus of thinking about Aristotle, some of the issues raised in Poetics that people have been struggling with, and some of the context in which Aristotle was writing. But the real value was Poetics itself.

Aristotle shows how Greek tragic plays like Oedipus are most effectively constructed. He contrasts tragedy with comedy and epic a bit, but Poetics is focused on tragic stories as a form. And he wasn't so concerned with plays as they are performed, but as they are written. So his thoughts translate well to any type of story.

The overriding idea I've been thinking about since reading this is that stories, art, any media we consume, is an imitation of reality—and this imitation is trying to evoke an emotional response so we can identify with it. (And I've been thinking about this in relation to advertising, especially, which are really little stories that evoke emotions about products.) Aristotle says that tragedy should evoke fear and pity, and discusses the best way to evoke these emotions: by having normal characters go from good fortune to bad through no fault of their own.

Aristotle places quite a bit of emphasis on social status which is sort of taboo in our society. And it's a bit uncomfortable to read. But now that I've seen stories through Aristotle's eyes, I can't help but see changes in fortune and differences in status in stories everywhere. It's like seeing a fundamental building block of the content I continually consume for the first time. And this is why I can't believe I haven't read it sooner. I know this sounds obvious, but character status, arc through the story, and emotions evoked should be the first step in analyzing a story. I've found it's very useful when watching a Youtube video, reading a blog, or looking at a billboard to think, "What emotion is this work trying to evoke?" This step back seems so clear that I should have been doing this all along. But analyzing for Aristotelian effectiveness is quite a bit different from "Hot or Not", Love/Hate decisions about stuff I consume.

Anyway, this is my attempt to sit you down and force you to read Poetics, because I wish someone would have made me do it sooner. There's a lot more than what I've described to get out of it, and I think it will help you think about media in a new (old) way.
  • New IBM project for social data visualization and analysis. Could analyzing data with others be more popular than sharing photos and videos? ;) [via O'Reilly Radar]
    filed under: visualization, productivity, design
  • great images from Wikipedia articles. It's unusual to me to see wikipedia content in a slightly different context. Similarly, there's Wikiworld Comics and the Picture of the day (a pod feed is only available offsite because Wikipedia doesn't provide one.)
    filed under: art, history, photography, wikipedia
  • Finding an acceptable "default deny" method for weblog participation. The most exciting developments in the weblog world right now are happening around OpenID. [via waxy]
    filed under: weblogs, identity, spam
  • Photographs of every advertisement in Times Square. [via kottke]
    filed under: marketing, media, visualization, photography

A story in six words

Fellow Corvallian Eric Stoller meme-checked me—A story in six words—which means I'm compelled to tell a story in six words:

Unknowingly, bloggers' links destroyed the Web.

Now in time-honored meme tradition, I pass the torch to stewart, rebecca, jason, J.D., and derek.

Book: The Consumer Trap

The Consumer Trap A few years ago I put together a list of books about media that have helped me understand different pieces of our culture. I'm currently reading a book that I'm officially adding to my Guerilla Media Literacy List. The Consumer Trap by Michael Dawson sounds at first like a personal finance book, and I suppose it might affect readers' buying habits in some ways. But the book is really an examination of the business systems that influence and direct our off-the-job lives.

Before reading this book I was very aware of standard marketing terms such as branding, differentiation, distribution channels, and targeting. I was even aware of psychological advertising methods that were pioneered by Edward Bernays, explored by folks like Vance Packard, and are in heavy use today. (Check out the excellent documentary The Century of the Self for a crash course in psychological advertising.) So I considered myself fairly familiar with the Marketing Machine. But reading Dawson's book brought together these familiar concepts and many more new marketing tools into a complete, coherent picture.

The book starts with a history of both marketing and marketing criticism. Dawson introduced me to Frederick Winslow Taylor, who used methods from science to organize business, and Thorstein Veblen, an economist and early critic of corporate business practices. In one example of scientific observation, Taylor attached lights to workers, filmed them as they worked, and found ways to make their movements more efficient. Taylor's ideas about engineering work environments, objects, and people's actions lead to companies taking a similar, scientific approach to people's off-the-job, product-related activities as well. Veblen, on the other hand, coined the term conspicuous consumption and found that corporate marketers were using "force and fraud" to engineer people's activities in a form of absentee ownership that has existed throughout history. These two figures set up the tension that exists throughout the book.

At times I couldn't tell if I was reading a critique of marketing or a how-to manual. But I think a big part of being a literate media consumer is understanding how the system works. Dawson shows that marketing is about much more than advertising, and that it's marketing that decides which products are produced. He describes marketing strategies such as differentiation between equal products, planned obsolescence that increases the chances someone will buy a new product before an old one is used up, and elaborate packaging that extends the brand.

I don't think we can be completely free from the forces of marketing, and we probably wouldn't want to be. But a greater awareness of the carrots and sticks that are out there can help us make informed decisions. If you're interested in how your media environment influences you on a daily basis, you are the target market for The Consumer Trap.
  • A simple keyboard remapper for Windows that uses the registry. I think this'll be handy for some issues running XP with parallels. [via Nelson]
    filed under: productivity, software
  • Why people hate domain registrars: "Domain name servers were not responsible for lost domain names if holders did not re-register in time, Xinhua quoted a center insider as saying, since the loss was an 'act of God.'"
    filed under: internet, ethics
  • Fantastic article about aggregating current emotion research. "Most neuroscientists now recognise six basic emotions: anger, disgust, fear, joy, sadness and surprise." (subscription req'd unfortunately)
    filed under: psychology, science

## Unrelated to this page: data records
=====
No. 1
{
  "formula": "C37H63F7O16PS8",
  "method": "ωB97M-V/def2-TZVPD",
  "lumo_ev": -4.42,
  "max_force_ha_per_bohr": 0.1193,
  "relative_energy_kcal_mol": 49.3,
  "charge": 1,
  "total_energy_ha": -6876.97094,
  "e_homo_ev": -11.090,
  "elements": ["O", "S", "O", "P", "C", "C", "C", "C", "C", "C", "C", "F", "F", "C", "F", "F", "C", "F", "F", "F", "H", "H", "H", "H", "H", "H", "H", "C", "C", "C", "S", "O", "O", "C", "H", "H", "H", "H", "H", "H", "H", "H", "C", "C", "C", "S", "O", "O", "C", "H", "H", "H", "H", "H", "H", "H", "H", "C", "C", "C", "S", "O", "O", "C", "H", "H", "H", "H", "H", "H", "H", "H", "C", "C", "C", "S", "O", "O", "C", "H", "H", "H", "H", "H", "H", "H", "H", "C", "C", "C", "S", "O", "O", "C", "H", "H", "H", "H", "H", "H", "H", "H", "C", "C", "C", "S", "O", "O", "C", "H", "H", "H", "H", "H", "H", "H", "H", "C", "C", "C", "S", "O", "O", "C", "H", "H", "H", "H", "H", "H", "H", "H"],
=====

Command Line Zip for Windows

Windows doesn't have a command line utility for compressing files (that I know of), and I had to come up with a way to automate some file transfers today. So I whipped up a tiny Perl script that will zip up a file. I figure someone else might need it. (Or someone might know how to do this in one line.) You'll need the Archive::Zip module, and the following code—which is pretty much right out of the documentation:
# Grab the incoming file
my $argv = join(' ', @ARGV) or die "Usage: [file location]\n";

# Grab the file name
my($dir, $file) = $argv =~ m/(.*\\)(.*)$/;

# Create a Zip file
use Archive::Zip qw( :ERROR_CODES :CONSTANTS );
my $zip = Archive::Zip->new();

# Add the file
my $file_member = $zip->addFile($argv, $file);

# Save the Zip file
unless ( $zip->writeToFileNamed($argv.'.zip') == AZ_OK ) {
    die 'couldn\'t zip';
Save this code as, and you'll be set. Pass in a filename, and you'll get a compressed file of the same name plus the .zip extension. So:

C:\>perl C:\path\to\giant.file

will give you C:\path\to\ It works well with Windows batch files, and will save me a bunch of bandwidth.